[What to do]
Could you print the whole of the block further down character by character?

[Source]
____________
Entry from Alexandria via LeMat-Bulk: a geometry-optimized AcThSi2Pt5 structure (GGA-PBE).

Cell: 4.3571 4.3571 10.6842 Å, 90.00 90.00 90.00°
Closest atoms and distances in Å follow each position.
Positions (direct):
Ac (0.0000, 0.0000, 0.5000)  4 Pt 3.08
Pt (0.5000, 0.0000, 0.8108)  2 Si 2.38
Pt (0.0000, 0.5000, 0.8108)  2 Si 2.38
Pt (0.5000, 0.0000, 0.1892)  2 Si 2.38
Si (0.5000, 0.5000, 0.2799)  5 Pt 2.35-2.38
Si (0.5000, 0.5000, 0.7201)  5 Pt 2.35-2.38
Pt (0.5000, 0.5000, 0.5000)  2 Si 2.35
Pt (0.0000, 0.5000, 0.1892)  2 Si 2.38
Th (0.0000, 0.0000, 0.0000)  8 Pt 2.97

## Properties
Crystal system: tetragonal
Formation energy from raw total energies in eV per formula unit: -8.58
Volume in Å³/atom: 22.54

=====

This record from the Alexandria database describes a geometry-optimized LaAl2Ir structure. The functional is PBE-GGA.

a b c (Å): 5.6990 5.6990 2.9649
angles (deg): 82.37 82.37 121.36
Last column: nearest neighbours and their distance in Å.
Atoms (fractional coordinates):
Ir1 0.5000 0.0000 0.5000  2 La 2.79, 2 Ir 2.96, 4 Al 3.03
Al1 0.0000 0.0000 0.0000  4 Al 2.79-2.96, 2 La 3.03, 2 Ir 3.03
Al2 0.5000 0.5000 0.0000  4 Al 2.79-2.96, 2 Ir 3.03, 2 La 3.03
La1 0.0000 0.5000 0.5000  2 Ir 2.79, 2 La 2.96, 4 Al 3.03

Values from the calculation:
SG	C2/m
energy of formation	-0.95	kcal/mol of atoms

This record from the Alexandria database describes a geometry-optimized LaAl2Ir structure. The functional is PBE-GGA.

a b c (Å): 9.4604 9.4604 9.4604
angles (deg): 19.30 19.30 19.30
Last column: nearest neighbours and their distance in Å.
Atoms (fractional coordinates):
Ir1 0.7500 0.7500 0.7500  6 Al 2.58
Al1 0.0182 0.0182 0.0182  3 Ir 2.58
Al2 0.4818 0.4818 0.4818  3 Ir 2.58
La1 0.2500 0.2500 0.2500  6 La 3.17, 6 Al 3.37

Values from the calculation:
SG	R-3m
energy of formation	-3.72	kcal/mol of atoms

This record from the Alexandria database describes a geometry-optimized LaAlIr3 structure. The functional is PBE-GGA.

a b c (Å): 4.9664 4.9664 4.9664
angles (deg): 90.00 90.00 90.00
Last column: nearest neighbours and their distance in Å.
Atoms (fractional coordinates):
Ir1 0.0000 0.5000 0.0000  2 La 2.48
Ir2 0.0000 0.0000 0.5000  2 La 2.48
Ir3 0.5000 0.0000 0.0000  2 La 2.48
Al1 0.5000 0.5000 0.5000  12 Ir 3.51
La1 0.0000 0.0000 0.0000  6 Ir 2.48

Values from the calculation:
energy above the lowest structure with this stoichiometry	1936	meV per atom
SG	Pm-3m
energy of formation	43.30	kcal/mol of atoms

This record from the Alexandria database describes a geometry-optimized La2Al4Ir structure. The functional is PBE-GGA.

a b c (Å): 4.6862 4.6862 8.6301
angles (deg): 74.25 74.25 90.00
Last column: nearest neighbours and their distance in Å.
Atoms (fractional coordinates):
Ir1 0.0000 0.0000 0.0000  6 Al 2.34-2.49
Al1 0.1561 0.1561 0.6879  1 Ir 2.49
Al2 0.8439 0.8439 0.3121  1 Ir 2.49
Al3 0.0000 0.5000 0.0000  2 Ir 2.34
Al4 0.5000 0.0000 0.0000  2 Ir 2.34
La1 0.3511 0.3511 0.2978  9 Al 3.11-3.33
La2 0.6489 0.6489 0.7022  9 Al 3.11-3.33

Values from the calculation:
SG	I4/mmm
energy of formation	-9.05	kcal/mol of atoms

This record from the Alexandria database describes a geometry-optimized LaAl2Ir structure. The functional is PBE-GGA.

a b c (Å): 4.3950 4.3950 5.8430
angles (deg): 67.94 67.94 60.04
Last column: nearest neighbours and their distance in Å.
Atoms (fractional coordinates):
Ir1 0.5697 0.5697 0.2910  6 Al 2.55-2.66
Al1 0.9530 0.9530 0.1410  3 Ir 2.66, 3 Al 2.73
Al2 0.2230 0.2230 0.3311  3 Ir 2.55, 3 Al 2.73
La1 0.7543 0.7543 0.7369  1 Ir 2.92, 1 Al 3.14

Values from the calculation:
SG	R3m
energy of formation	-16.63	kcal/mol of atoms

This record from the Alexandria database describes a geometry-optimized LaAlIr3 structure. The functional is PBE-GGA.

a b c (Å): 4.6002 4.6002 4.6002
angles (deg): 90.00 90.00 90.00
Last column: nearest neighbours and their distance in Å.
Atoms (fractional coordinates):
Ir1 0.0000 0.5000 0.0000  2 Al 2.30
Ir2 0.0000 0.0000 0.5000  2 Al 2.30
Ir3 0.5000 0.0000 0.0000  2 Al 2.30
____________

[Solution]
Entry from Alexandria via LeMat-Bulk: a geometry-optimized AcThSi2Pt5 structure (GGA-PBE).

Cell: 4.3571 4.3571 10.6842 Å, 90.00 90.00 90.00°
Closest atoms and distances in Å follow each position.
Positions (direct):
Ac (0.0000, 0.0000, 0.5000)  4 Pt 3.08
Pt (0.5000, 0.0000, 0.8108)  2 Si 2.38
Pt (0.0000, 0.5000, 0.8108)  2 Si 2.38
Pt (0.5000, 0.0000, 0.1892)  2 Si 2.38
Si (0.5000, 0.5000, 0.2799)  5 Pt 2.35-2.38
Si (0.5000, 0.5000, 0.7201)  5 Pt 2.35-2.38
Pt (0.5000, 0.5000, 0.5000)  2 Si 2.35
Pt (0.0000, 0.5000, 0.1892)  2 Si 2.38
Th (0.0000, 0.0000, 0.0000)  8 Pt 2.97

## Properties
Crystal system: tetragonal
Formation energy from raw total energies in eV per formula unit: -8.58
Volume in Å³/atom: 22.54

=====

This record from the Alexandria database describes a geometry-optimized LaAl2Ir structure. The functional is PBE-GGA.

a b c (Å): 5.6990 5.6990 2.9649
angles (deg): 82.37 82.37 121.36
Last column: nearest neighbours and their distance in Å.
Atoms (fractional coordinates):
Ir1 0.5000 0.0000 0.5000  2 La 2.79, 2 Ir 2.96, 4 Al 3.03
Al1 0.0000 0.0000 0.0000  4 Al 2.79-2.96, 2 La 3.03, 2 Ir 3.03
Al2 0.5000 0.5000 0.0000  4 Al 2.79-2.96, 2 Ir 3.03, 2 La 3.03
La1 0.0000 0.5000 0.5000  2 Ir 2.79, 2 La 2.96, 4 Al 3.03

Values from the calculation:
SG	C2/m
energy of formation	-0.95	kcal/mol of atoms

This record from the Alexandria database describes a geometry-optimized LaAl2Ir structure. The functional is PBE-GGA.

a b c (Å): 9.4604 9.4604 9.4604
angles (deg): 19.30 19.30 19.30
Last column: nearest neighbours and their distance in Å.
Atoms (fractional coordinates):
Ir1 0.7500 0.7500 0.7500  6 Al 2.58
Al1 0.0182 0.0182 0.0182  3 Ir 2.58
Al2 0.4818 0.4818 0.4818  3 Ir 2.58
La1 0.2500 0.2500 0.2500  6 La 3.17, 6 Al 3.37

Values from the calculation:
SG	R-3m
energy of formation	-3.72	kcal/mol of atoms

This record from the Alexandria database describes a geometry-optimized LaAlIr3 structure. The functional is PBE-GGA.

a b c (Å): 4.9664 4.9664 4.9664
angles (deg): 90.00 90.00 90.00
Last column: nearest neighbours and their distance in Å.
Atoms (fractional coordinates):
Ir1 0.0000 0.5000 0.0000  2 La 2.48
Ir2 0.0000 0.0000 0.5000  2 La 2.48
Ir3 0.5000 0.0000 0.0000  2 La 2.48
Al1 0.5000 0.5000 0.5000  12 Ir 3.51
La1 0.0000 0.0000 0.0000  6 Ir 2.48

Values from the calculation:
energy above the lowest structure with this stoichiometry	1936	meV per atom
SG	Pm-3m
energy of formation	43.30	kcal/mol of atoms

This record from the Alexandria database describes a geometry-optimized La2Al4Ir structure. The functional is PBE-GGA.

a b c (Å): 4.6862 4.6862 8.6301
angles (deg): 74.25 74.25 90.00
Last column: nearest neighbours and their distance in Å.
Atoms (fractional coordinates):
Ir1 0.0000 0.0000 0.0000  6 Al 2.34-2.49
Al1 0.1561 0.1561 0.6879  1 Ir 2.49
Al2 0.8439 0.8439 0.3121  1 Ir 2.49
Al3 0.0000 0.5000 0.0000  2 Ir 2.34
Al4 0.5000 0.0000 0.0000  2 Ir 2.34
La1 0.3511 0.3511 0.2978  9 Al 3.11-3.33
La2 0.6489 0.6489 0.7022  9 Al 3.11-3.33

Values from the calculation:
SG	I4/mmm
energy of formation	-9.05	kcal/mol of atoms

This record from the Alexandria database describes a geometry-optimized LaAl2Ir structure. The functional is PBE-GGA.

a b c (Å): 4.3950 4.3950 5.8430
angles (deg): 67.94 67.94 60.04
Last column: nearest neighbours and their distance in Å.
Atoms (fractional coordinates):
Ir1 0.5697 0.5697 0.2910  6 Al 2.55-2.66
Al1 0.9530 0.9530 0.1410  3 Ir 2.66, 3 Al 2.73
Al2 0.2230 0.2230 0.3311  3 Ir 2.55, 3 Al 2.73
La1 0.7543 0.7543 0.7369  1 Ir 2.92, 1 Al 3.14

Values from the calculation:
SG	R3m
energy of formation	-16.63	kcal/mol of atoms

This record from the Alexandria database describes a geometry-optimized LaAlIr3 structure. The functional is PBE-GGA.

a b c (Å): 4.6002 4.6002 4.6002
angles (deg): 90.00 90.00 90.00
Last column: nearest neighbours and their distance in Å.
Atoms (fractional coordinates):
Ir1 0.0000 0.5000 0.0000  2 Al 2.30
Ir2 0.0000 0.0000 0.5000  2 Al 2.30
Ir3 0.5000 0.0000 0.0000  2 Al 2.30